Five things we learned building Elegant Seagulls 2017

Brett Smith
Elegant Seagulls
Published in
4 min readNov 1, 2017

When we first started thinking about a new website relaunch in early 2017, the decision to use WordPress felt natural. It’s been our go-to CMS for more than 10 years.

But when Ben Johnson, our creative director, made the decision to challenge the status quo of Seagulls’ design, our development team felt it was only appropriate to incorporate that same challenge into the build.

What comes next are data records, not part of the piece.
-- begin --
1.
The following is a PBE calculation of crystalline Pm3Nd6SmTm2 at its relaxed geometry, from the Alexandria database.

The space group is C2/m (No. 12) and the conventional cell measures 6.311, 10.932 and 12.007 Å, with angles of 90.00, 100.09 and 90.00 degrees. The inequivalent atoms are Pm at (0.000, 0.000, 0.000), Pm at (0.000, 0.333, 0.000), Nd at (0.248, 0.000, 0.747), Nd at (0.250, 0.167, 0.253), Sm at (0.000, 0.500, 0.500) and Tm at (0.000, 0.167, 0.500).

***

2.
The following is a PBE calculation of crystalline Pm5NdSm2Tm at its relaxed geometry, from the Alexandria database.

The space group is I4/mcm (No. 140) and the conventional cell measures 8.882, 8.882 and 15.668 Å, with angles of 90.00, 90.00 and 90.00 degrees. The inequivalent atoms are Pm at (0.000, 0.000, 0.000), Pm at (0.209, 0.291, 0.138), Nd at (0.000, 0.000, 0.250), Sm at (0.116, 0.384, 0.500) and Tm at (0.000, 0.500, 0.250).

***

Number 1: formation energy 0.02 eV/atom, total magnetic moment 0.0 μB per formula unit. Number 2: formation energy 0.28 eV/atom, total magnetic moment 0.0 μB per formula unit.
-- stop --

No risk, no reward, right?

So we switched it up. As our first project using React and a headless CMS, this build wasn’t easy, but we’re pretty proud of the final product.

# 1
# Ag2SbSe2Br | Alexandria via LeMat-Bulk | PBE-GGA | relaxed
data_Ag2SbSe2Br
_symmetry_space_group_name_H-M 'P 1'
_symmetry_Int_Tables_number 1
_cell_length_a 7.084
_cell_length_b 6.524
_cell_length_c 7.139
_cell_angle_alpha 84.14
_cell_angle_beta 90.00
_cell_angle_gamma 90.00
loop_
_symmetry_equiv_pos_as_xyz
'x,y,z'
loop_
_atom_site_label
_atom_site_fract_x
_atom_site_fract_y
_atom_site_fract_z
Sb1 0.750 0.848 0.097
Sb2 0.250 0.152 0.903
Se1 0.489 0.877 0.780
Se2 0.511 0.123 0.220
Se3 0.989 0.123 0.220
Se4 0.011 0.877 0.780
Ag1 0.250 0.545 0.710
Ag2 0.750 0.455 0.290
Ag3 0.250 0.935 0.455
Ag4 0.750 0.065 0.545
Br1 0.750 0.457 0.670
Br2 0.250 0.543 0.330
# SG: P2_1/m (11)
# ΔE_f (raw): -0.13 eV/atom
# crystal system: monoclinic
# VASP energy: -3.2036 eV/atom

---

# 2
# KRb3Hg6 | Alexandria via LeMat-Bulk | PBE-GGA | relaxed
data_KRb3Hg6
_symmetry_space_group_name_H-M 'P 1'
_symmetry_Int_Tables_number 1
_cell_length_a 9.502
_cell_length_b 9.502
_cell_length_c 9.502
_cell_angle_alpha 99.22
_cell_angle_beta 99.22
_cell_angle_gamma 99.22
loop_
_symmetry_equiv_pos_as_xyz
'x,y,z'
loop_
_atom_site_label
_atom_site_fract_x
_atom_site_fract_y
_atom_site_fract_z
Hg1 0.964 0.912 0.616
Hg2 0.464 0.116 0.412
Hg3 0.412 0.464 0.116
Hg4 0.884 0.588 0.536
Hg5 0.588 0.536 0.884
Hg6 0.616 0.964 0.912
Hg7 0.384 0.036 0.088
Hg8 0.912 0.616 0.964
Hg9 0.116 0.412 0.464
Hg10 0.088 0.384 0.036
Hg11 0.036 0.088 0.384
Hg12 0.536 0.884 0.588
K1 0.500 0.500 0.500
K2 0.000 0.000 0.000
Rb1 0.812 0.250 0.688
Rb2 0.750 0.312 0.188
Rb3 0.188 0.750 0.312
Rb4 0.688 0.812 0.250
Rb5 0.312 0.188 0.750
Rb6 0.250 0.688 0.812
# SG: R-3c (167)
# crystal system: trigonal
# VASP energy: -0.7971 eV/atom
# formation enthalpy at 0 K: -0.2160 eV/atom

---

# 3
# BaSrAl2Si2 | Alexandria via LeMat-Bulk | PBE-GGA | relaxed
data_BaSrAl2Si2
_symmetry_space_group_name_H-M 'P 1'
_symmetry_Int_Tables_number 1
_cell_length_a 4.283
_cell_length_b 4.283
_cell_length_c 9.976
_cell_angle_alpha 90.00
_cell_angle_beta 90.00
_cell_angle_gamma 120.00
loop_
_symmetry_equiv_pos_as_xyz
'x,y,z'
loop_
_atom_site_label
_atom_site_fract_x
_atom_site_fract_y
_atom_site_fract_z
Si1 0.333 0.667 0.266
Si2 0.667 0.333 0.734
Ba1 0.000 0.000 0.000
Sr1 0.000 0.000 0.500
Al1 0.333 0.667 0.743
Al2 0.667 0.333 0.257
# SG: P-3m1 (164)
# ΔE_f (raw): -0.39 eV/atom
# crystal system: trigonal
# VASP energy: -4.0482 eV/atom

---

# 4
# Ta2AgCl | Alexandria via LeMat-Bulk | PBE-GGA | relaxed
data_Ta2AgCl
_symmetry_space_group_name_H-M 'P 1'
_symmetry_Int_Tables_number 1
_cell_length_a 4.237
_cell_length_b 2.927
_cell_length_c 5.764
_cell_angle_alpha 82.51
_cell_angle_beta 90.00
_cell_angle_gamma 90.00
loop_
_symmetry_equiv_pos_as_xyz
'x,y,z'
loop_
_atom_site_label
_atom_site_fract_x
_atom_site_fract_y
_atom_site_fract_z
Cl1 0.500 0.750 0.750
Ta1 0.000 0.790 0.998
Ta2 0.000 0.710 0.502
Ag1 0.500 0.250 0.250
# SG: P2/m (10)
# ΔE_f (raw): 0.37 eV/atom
# crystal system: monoclinic
# VASP energy: -6.7335 eV/atom

---

# 5
**Back to the article:**

Headless CMS makes life easier

This was our first time using Contentful and a headless CMS. Contentful, which is specifically designed for management of interactive and multichannel content, describes a headless CMS as traditional (ish) CMS without the front-end.

“Because of its backend-only nature, a headless CMS does not care about how content gets displayed to the end user. A headless CMS stores and delivers content — nothing more.”

One of the most challenging aspects of working with WordPress is syncing the database between members of our development team. With a headless CMS, all of the content is stored on our provider’s server. Additionally, Wordpress is php only — most headless CMSs are language agnostic.

Working within the confines of WordPress can sometimes be a pain. No more resetting post data because of the need to pull in two different post types on the same page. With a headless CMS, we can change the structure of our API call and we’re in business.

Netlify is awesome

There are plenty of arguments both for and against client-side rendering/server-side rendering. We chose the client-side option and used Netlify as our host. Netlify was a brilliant option suggested by one of our developers, and now we can’t imagine life without it.

Generally, client-side rendered applications have poor SEO because google doesn’t crawl client-side javascript. Netlify offers pre-rendering, which according to Netlify works like this:

“When a request hits one of our CDN servers, our CDN software determines if it’s a prerendering request from a crawler. If prerendering is enabled for your site, our cache servers will contact the prerendering backend straight from our CDN nodes instead of serving the normal cached request.”

Facebook link preview

With Netlify’s prerendering we’re able to successfully get link previews in slack/social media and appear in google search results.

Image CDN is a must

One of the reasons we chose Contentful is because it comes with an image CDN (Content Delivery Network). Using a CDN should make the site faster because most have built-in tools to compress images, and reduce the amount of requests hitting our server so we can load more content faster. They can also increase site performance while making things easier for our developers, giving them the ability to crop and serve scaled images based on screen size and art direction.

But they’re also great for client solutions, as well. Image CDNs give clients the flexibility to upload images without having to worry about optimizing them.

Styled Components are…

According to Max Stoiber, a maintainer, of Styled Components,

“styled-components forces styles to be bound components. That way you avoid the global namespace of CSS classes and have the full power of JavaScript at your disposal to make your app look great”

Styled Components are great, and some of our team members have used them in personal projects with great success. However, we’re not sure they were the right decision for this project. There were a lot of one-off styles, so many of our components were only used once, which isn’t super efficient.

One of the most complicated portions of this build was the team section. In short, each person was built with a component, which was used on both the Home and About pages. The styling was based on each individual’s position which means they needed to be styled with props received from their parent. Figuring out how to use `nth-of-type` was a bit of a struggle because of how the components were nested.

Would we use them again? It depends on project fit. With styled components it’s really easy to style components based on data received from an API call or any other props received from parents.


At Seagulls, we’re always looking to improve our JavaScript skills, so building an entire site in JavaScript provided some great practice. The React eco-system helped (forced) us to become more familiar with ES6, Babel, Webpack, API calls, Express, and obviously React.

Go check us out!

This project has been a labor of love for our team, all that time and effort has left us feeling pretty proud. We’re always looking for ways to improve efficiency, while providing the best possible product for our clients; now we’ve got a few new tricks up our sleeves. Be sure to stop by our site and say hi. We’d love to hear from you!

